Great to see chapter 3 will be full of Tank-ervishes doing the same thing!!!
Oh well, I guess it's a Paragon for me - CAN'T WAIT
Frank Dudenstein
Sir Skullcrasher
Wrath Of Dragons
Neriandal Freit
Originally Posted by Carth`
I said if Anet keep adding new classes every chapter, it will only get worse. I think I will be right.
What I wanted to see in a chapter 3 preview is that they're adding good, fun to play new PvE areas, a few new skills for the existing classes, and some new types of PvP. Instead we get more gimmick classes that will ruin balance and have far too many of, and are just remixes of existing classes. |
Originally Posted by Neriandal Freit
Crystal structures from another source follow >
┌──
# PBE CeCdRu2, optimized geometry
# Energy relative to the elements: -0.417 eV per formula unit
# Distance to the lowest polymorph of the same formula: 0.000 eV/atom
# DOS(E_F): 5.8 states/eV per cell
# Energy: -6.454 eV/atom
data_CeCdRu2
_symmetry_space_group_name_H-M 'P 4/m m m'
_symmetry_Int_Tables_number 123
_symmetry_space_group_name_Hall '-P 4 2'
_cell_length_a 4.522
_cell_length_b 4.522
_cell_length_c 3.563
_cell_angle_alpha 90.00
_cell_angle_beta 90.00
_cell_angle_gamma 90.00
loop_
_atom_site_label
_atom_site_type_symbol
_atom_site_fract_x
_atom_site_fract_y
_atom_site_fract_z
_atom_site_occupancy
Ce1 Ce 0.000 0.000 0.000 1
Cd1 Cd 0.500 0.500 0.000 1
Ru1 Ru 0.000 0.500 0.500 1
└──
The text goes on >
Why are so many of you already making judgements against this? Why aren't all of you excited to the new possiblites that have arisen once more?
No no, lets all nag already shall we? By the gods, you all need to pull your finger out of where ever you put it up, and stop smelling the goods cause your going to miss alot of this game all over again. I'm excited on the prospect of everything. This is going to give everyone more defintion to play people now. But no no, lets nag! Perhaps by chapter 5 we wont have any new classes, as I hope we have this epic game where we have to help the Gods, or stop some evil god from taking back his place from Grenth. By that time, we'll have....6 new professions and 6 Core professions with countless tactics and possiblities and flavor for a superb game. Lets hold our judgements for now everyone, and just be excited. I mean c'mon, we're getting a preview event already! That alone will be cool. |
Eet GnomeSmasher
Originally Posted by Rent
The piece is interrupted by data records:
[1]
Entry from Alexandria via LeMat-Bulk: CeSb2Pt9 after structural relaxation (PBE).

Results
Volume (Å³/cell): 210.0
Symmetry: P4/mmm
Theoretical density (g/cm3): 16.9
Total DFT energy (no corrections) (eV per formula unit): -73.6

extended XYZ file:
```
12
Lattice="4.145 0.000 0.000 0.000 4.145 0.000 0.000 0.000 12.218" Properties=species:S:1:pos:R:3 pbc="T T T"
Ce 0.000 0.000 0.000
Sb 0.000 0.000 4.115
Sb 0.000 0.000 8.102
Pt 0.000 2.073 2.066
Pt 0.000 2.073 6.109
Pt 0.000 2.073 10.151
Pt 2.073 0.000 2.066
Pt 2.073 0.000 6.109
Pt 2.073 0.000 10.151
Pt 2.073 2.073 0.000
Pt 2.073 2.073 4.111
Pt 2.073 2.073 8.107
```


[2]
Entry from Alexandria via LeMat-Bulk: CeSbPt6 after structural relaxation (PBE).

Results
Volume (Å³/cell): 171.7
Symmetry: C2/m
Theoretical density (g/cm3): 13.9
E above lowest polymorph (meV per atom): 293

extended XYZ file:
```
8
Lattice="3.974 -3.690 0.000 3.974 3.690 0.000 -0.632 0.000 5.855" Properties=species:S:1:pos:R:3 pbc="T T T"
Ce 0.000 0.000 0.000
Sb 3.658 0.000 2.928
Pt 2.221 1.402 1.220
Pt 0.989 0.000 3.351
Pt 2.221 -1.402 1.220
Pt 5.095 1.402 4.636
Pt 6.327 0.000 2.504
Pt 5.095 -1.402 4.636
```


[3]
Entry from Alexandria via LeMat-Bulk: Ce3Sb4Pt3 after structural relaxation (PBE).

Results
Volume (Å³/cell): 478.9
Symmetry: I-43d
Theoretical density (g/cm3): 10.4
Total DFT energy (no corrections) (eV per formula unit): -63.2

extended XYZ file:
```
20
Lattice="-4.929 4.929 4.929 4.929 -4.929 4.929 4.929 4.929 -4.929" Properties=species:S:1:pos:R:3 pbc="T T T"
Ce 7.393 1.232 0.000
Ce 3.696 0.000 2.464
Ce 2.464 3.696 0.000
Ce 0.000 2.464 3.696
Ce 1.232 0.000 7.393
Ce 0.000 7.393 1.232
Sb 4.089 0.840 -0.840
Sb 6.553 -1.624 1.624
Sb 0.840 0.840 0.840
Sb 0.840 -0.840 4.089
Sb -0.840 4.089 0.840
Sb 1.624 6.553 -1.624
Sb 3.304 3.304 3.304
Sb -1.624 1.624 6.553
Pt 4.929 -2.464 3.696
Pt 3.696 4.929 -2.464
Pt 4.929 2.464 1.232
Pt 2.464 1.232 4.929
Pt 1.232 4.929 2.464
Pt -2.464 3.696 4.929
```


[4]
Entry from Alexandria via LeMat-Bulk: CeSbPt2 after structural relaxation (PBE).

Results
Volume (Å³/cell): 343.9
Symmetry: Pnma
Theoretical density (g/cm3): 12.6
Total DFT energy (no corrections) (eV per formula unit): -25.6

extended XYZ file:
```
16
Lattice="8.999 0.000 0.000 0.000 6.967 0.000 0.000 0.000 5.485" Properties=species:S:1:pos:R:3 pbc="T T T"
Ce 0.740 1.742 0.950
Ce 3.759 5.225 3.692
Ce 5.240 1.742 1.792
Ce 8.259 5.225 4.535
Sb 0.947 5.225 1.759
Sb 3.552 1.742 4.501
Sb 5.447 5.225 0.984
Sb 8.052 1.742 3.726
Pt 1.508 0.243 3.545
Pt 1.508 3.240 3.545
Pt 2.991 3.726 0.803
Pt 2.991 6.724 0.803
Pt 6.008 0.243 4.682
Pt 6.008 3.240 4.682
Pt 7.491 3.726 1.940
Pt 7.491 6.724 1.940
```


[5]
Entry from Alexandria via LeMat-Bulk: Ce2SbPt9 after structural relaxation (PBE).

Results
Volume (Å³/cell): 213.8
Symmetry: P4/mmm
Theoretical density (g/cm3): 16.8
Total DFT energy (no corrections) (eV per formula unit): -78.7

extended XYZ file:
```
12
Here the piece continues:
So you already know how much armor Dervishes are going to have? Do tell.
Eet GnomeSmasher
Originally Posted by Carth`
I said if Anet keep adding new classes every chapter, it will only get worse. I think I will be right.
What I wanted to see in a chapter 3 preview is that they're adding good, fun to play new PvE areas, a few new skills for the existing classes, and some new types of PvP. Instead we get more gimmick classes that will ruin balance and have far too many of, and are just remixes of existing classes. |
What comes next are calculated crystals, not part of the text:
=====
<1>
The following is a DFT calculation (PBE) of a relaxed Ti6Bi2N crystal.

- Calculated volume: 153.5 Å³/cell
- N(E_F): 10.250 states/eV per cell

a = 6.0319 Å, b = 6.0319 Å, c = 4.8733 Å
α = 90.03°, β = 90.03°, γ = 59.93°
Last column: nearest neighbours and their distance in Å.
Atoms (fractional coordinates):
Ti (0.1585, 0.1585, 0.7599)  1 N 2.08
Ti (0.1586, 0.6836, 0.7607)  1 N 2.08
Ti (0.3164, 0.8414, 0.2393)  1 N 2.08
Ti (0.6836, 0.1586, 0.7607)  1 N 2.08
Ti (0.8414, 0.3164, 0.2393)  1 N 2.08
Ti (0.8415, 0.8415, 0.2401)  1 N 2.08
Bi (0.3332, 0.3332, 0.2573)  12 Ti 3.02-3.06
Bi (0.6668, 0.6668, 0.7427)  12 Ti 3.02-3.06
N (0.0000, 0.0000, 0.5000)  6 Ti 2.08

<2>
The following is a DFT calculation (PBE) of a relaxed Ti6Bi2N crystal.

- Calculated volume: 151.9 Å³/cell
- N(E_F): 11.937 states/eV per cell

a = 5.9893 Å, b = 5.9893 Å, c = 5.9893 Å
α = 60.00°, β = 60.00°, γ = 60.00°
Last column: nearest neighbours and their distance in Å.
Atoms (fractional coordinates):
Ti (0.2479, 0.2479, 0.7521)  1 N 2.14
Ti (0.2479, 0.7521, 0.2479)  1 N 2.14
Ti (0.2479, 0.7521, 0.7521)  1 N 2.14
Ti (0.7521, 0.2479, 0.2479)  1 N 2.14
Ti (0.7521, 0.2479, 0.7521)  1 N 2.14
Ti (0.7521, 0.7521, 0.2479)  1 N 2.14
Bi (0.2500, 0.2500, 0.2500)  12 Ti 2.99
Bi (0.7500, 0.7500, 0.7500)  12 Ti 2.99
N (0.5000, 0.5000, 0.5000)  6 Ti 2.14

Most stable pick: <1>. Distance to second place: 92 meV per atom.

<1>
The following is a DFT calculation (PBE) of a relaxed TlBi2N crystal.

- Calculated volume: 230.3 Å³/cell
- N(E_F): 1.621 states/eV per cell

a = 5.5095 Å, b = 6.0340 Å, c = 7.7188 Å
α = 82.24°, β = 84.71°, γ = 65.02°
Last column: nearest neighbours and their distance in Å.
Atoms (fractional coordinates):
Tl (0.0000, 0.0000, 0.0000)  1 N 2.49
Tl (0.3133, 0.4006, 0.1326)  2 N 2.46-2.54
Bi (0.2769, 0.4216, 0.6329)  1 N 2.29
Bi (0.5594, 0.8478, 0.7547)  2 Bi 3.18-3.21, 1 Tl 3.31
Bi (0.6224, 0.7593, 0.3490)  2 N 2.22-2.27
Bi (0.9746, 0.1195, 0.4942)  2 N 2.23-2.34
N (0.2324, 0.0374, 0.2494)  2 Bi 2.22-2.23, 1 Tl 2.46
N (0.5594, 0.4070, 0.3929)  3 Bi 2.27-2.34, 1 Tl 2.54

<2>
The following is a DFT calculation (PBE) of a relaxed TlBi2N crystal.

- Calculated volume: 214.9 Å³/cell
- N(E_F): 3.798 states/eV per cell

a = 6.3238 Å, b = 6.3238 Å, c = 6.5647 Å
α = 103.35°, β = 103.35°, γ = 114.98°
Last column: nearest neighbours and their distance in Å.
Atoms (fractional coordinates):
Tl (0.2243, 0.2243, 0.2390)  1 N 2.48
Tl (0.7757, 0.7757, 0.7610)  1 N 2.48
Bi (0.0892, 0.4334, 0.7541)  2 N 2.26-2.28
Bi (0.4398, 0.1374, 0.7586)  1 N 2.30
Bi (0.5666, 0.9108, 0.2459)  2 N 2.26-2.28
Bi (0.8626, 0.5602, 0.2414)  1 N 2.30
N (0.1828, 0.5600, 0.1304)  3 Bi 2.26-2.30, 1 Tl 2.48
N (0.4400, 0.8172, 0.8696)  3 Bi 2.26-2.30, 1 Tl 2.48

Most stable pick: <1>. Distance to second place: 31 meV per atom.

<1>
The following is a DFT calculation (PBE) of a relaxed TlBi2N2 crystal.

- Calculated volume: 195.0 Å³/cell
- N(E_F): 2.842 states/eV per cell

a = 7.6615 Å, b = 7.6615 Å, c = 3.3220 Å
=====
Former Ruling
Originally Posted by Eet GnomeSmasher
You continue to dazzle with your brilliant posts. I mean, you're right. They should never add existing classes because it's impossible to balance right? They shouldnt add new skills because that will provide balance issues too. Hell, they should never add anything new because it's too hard to balance. Brilliant!
Former Ruling
Sir Jameson
The Primeval King
Francis Demeules
Originally Posted by Eet GnomeSmasher
Gotta love the people who are already complaining just by judging a short preview on two classes. Pre-emptive complaining is funny.
Former Ruling
Originally Posted by Domino
Enchantments won't you you any good when mobs spam enchant removal like nobody's business.
Warriors are the only tanks, bottom line. I think Dervishes will suffer the same hate as Assassins do. Hopefully some of these tanking assassins will delete their characters, and make Dervishes... so the decent assassins can start the slow process of rebuilding our reputation. |
Originally Posted by Former Ruling
they will have Defensive Enchantments and such to keep up with warriors on the front line.